Euro Area and EU Indices Fall; No Longer Firm Readings- Be Afraid?
[Here the piece breaks off for records of crystals]
/*
(1)
# KNaAl6Si6H4O24

KNaAl6Si6H4O24 after structural relaxation (PBE, the Materials Project).

a = 9.0605 Å, b = 10.4226 Å, c = 19.9760 Å
α = 95.51°, β = 89.93°, γ = 90.00°
Fractional positions:
O: 0.3876 0.6306 0.1718
O: 0.5463 0.0137 0.9445
O: 0.6945 0.6045 0.8410
O: 0.1325 0.6273 0.8303
O: 0.7470 0.8111 0.9488
O: 0.2462 0.0524 0.9445
O: 0.3043 0.6097 0.3411
O: 0.9392 0.5218 0.9503
O: 0.5906 0.9506 0.1696
O: 0.9131 0.7064 0.6723
O: 0.9384 0.0224 0.9501
O: 0.7514 0.5558 0.4452
O: 0.4054 0.5480 0.8299
O: 0.4466 0.9807 0.0561
O: 0.1912 0.8760 0.8393
O: 0.6948 0.8959 0.6588
O: 0.6032 0.8629 0.8271
O: 0.0586 0.5252 0.4506
O: 0.8081 0.6193 0.1593
O: 0.6943 0.3958 0.6596
O: 0.2471 0.9479 0.5558
O: 0.2488 0.6873 0.0510
O: 0.9429 0.2706 0.4446
O: 0.8634 0.8703 0.1698
O: 0.3918 0.1336 0.1737
O: 0.0822 0.1955 0.1735
O: 0.0829 0.7046 0.1722
O: 0.2467 0.5530 0.9446
O: 0.8684 0.1292 0.3299
O: 0.0840 0.8021 0.3273
O: 0.8059 0.8802 0.3413
O: 0.9429 0.2292 0.0561
O: 0.4486 0.0203 0.4441
O: 0.3013 0.3892 0.1593
O: 0.0570 0.4758 0.0499
O: 0.1914 0.3760 0.8398
O: 0.5936 0.5479 0.3311
O: 0.0563 0.2323 0.5554
O: 0.7476 0.3105 0.9490
O: 0.9128 0.7940 0.8279
O: 0.9131 0.2062 0.6722
O: 0.7483 0.6893 0.5514
O: 0.5923 0.0530 0.3299
O: 0.9131 0.2941 0.8283
O: 0.1325 0.3729 0.6699
O: 0.6036 0.3627 0.8272
O: 0.0563 0.7324 0.5556
O: 0.2998 0.8935 0.1615
O: 0.9406 0.7299 0.0549
O: 0.8020 0.1220 0.1601
O: 0.1327 0.8731 0.6700
O: 0.8655 0.6315 0.3310
O: 0.0553 0.7680 0.9446
O: 0.1915 0.1244 0.6608
O: 0.0557 0.2679 0.9451
O: 0.0851 0.2989 0.3277
O: 0.2501 0.3143 0.4490
O: 0.5655 0.7758 0.4512
O: 0.9401 0.4780 0.5502
O: 0.5911 0.4490 0.1700
O: 0.0561 0.9747 0.0495
O: 0.7489 0.9442 0.0553
O: 0.1915 0.6243 0.6608
O: 0.9392 0.9784 0.5500
O: 0.9435 0.7708 0.4450
O: 0.4052 0.0481 0.8299
O: 0.4490 0.5188 0.4449
O: 0.8656 0.3690 0.1701
O: 0.5649 0.7242 0.0491
O: 0.4481 0.4807 0.0555
O: 0.2481 0.1842 0.0516
O: 0.0572 0.0250 0.4506
O: 0.4323 0.2296 0.5492
O: 0.7497 0.0584 0.4445
O: 0.5474 0.9867 0.5556
O: 0.3902 0.8696 0.3277
O: 0.4328 0.7299 0.5490
O: 0.4322 0.7707 0.9512
O: 0.2494 0.8150 0.4491
O: 0.6943 0.1044 0.8413
O: 0.4314 0.2705 0.9513
O: 0.3008 0.1084 0.3389
O: 0.5637 0.2239 0.0490
O: 0.7494 0.4422 0.0556
O: 0.8078 0.3788 0.3400
O: 0.5655 0.2766 0.4515
O: 0.4056 0.9522 0.6703
O: 0.3930 0.3672 0.3273
O: 0.7480 0.1898 0.5514
O: 0.6036 0.1374 0.6730
O: 0.4053 0.4524 0.6707
O: 0.2473 0.4475 0.5558
O: 0.5476 0.4866 0.5563
O: 0.5471 0.5136 0.9443
O: 0.1323 0.1274 0.8305
O: 0.6037 0.6376 0.6734
Si: 0.0694 0.7695 0.8626
Si: 0.2426 0.0251 0.8631
Si: 0.5663 0.0072 0.8619
Si: 0.5667 0.5072 0.8617
Si: 0.7565 0.5276 0.3640
Si: 0.2432 0.9753 0.6371
Si: 0.7533 0.9725 0.1367
Si: 0.5669 0.9930 0.6382
Si: 0.4283 0.9894 0.1389
Si: 0.9295 0.2718 0.3625
Si: 0.0695 0.2696 0.8630
Si: 0.5669 0.4932 0.6388
Si: 0.0698 0.7309 0.6376
Si: 0.9275 0.2258 0.1381
Si: 0.0697 0.2308 0.6375
Si: 0.2431 0.4751 0.6372
Si: 0.7546 0.4703 0.1368
Si: 0.7551 0.0300 0.3632
Si: 0.4280 0.4872 0.1381
Si: 0.2429 0.5252 0.8632
*/
The EU Commission indices for the EU and EMU fell hard in August. Their slippages have been ongoing. There are no more truly `strong sectors' in the EU, but the EMU is faring slightly better on that front. The strength in services and [...]
The EU Commission indices for the EU and EMU fell hard in August. Their slippages have been ongoing. There are no more truly `strong sectors' in the EU, but the EMU is faring slightly better on that front. The strength in services and in retail has evaporated. The Big Four economics have very middling rankings in their historic queues of data. There is no `strong' economy anymore. And do not -NOT- blame it on Brexit. The slippage dates from a peak reading in December 2015 of 108.5 for the EU and a peak reading of 106.6 for the EMU at the same time. Europe is eight months into this new cycle of slippage. And these recent cycle `peaks' compare to pre-recession and pre-financial crisis readings of 114.5 for the EU and 113.2 for the EMU (both May 2007).
Since the sentiment indices for the EU and EMU peaked, the EMU has fallen by 3.1 points with Germany falling by 1.3 points, France shedding 1.1 points, Italy losing a whopping 6.1 points and Spain dropping fully 7.4 points. On this same horizon, the U.K., which has gone through trial by Brexit, has lost 6.1 points from its overall sentiment gauge.
Eight of 16 reporting EMU members have seen their economic sentiment indices fall in August; of these eight, six have drops of one percentage point or more.
Sector ranking
The EU sector performance is poor with slippage across the board on all five measures. Four measures the industrial sector, consumer confidence, retailing and construction now have outright negative readings. Only services still has a positive diffusion score (up minus down net). The overall EU sentiment gauge has a 54th percentile queue standing while the EMU's gauge has a 56th percentile standing. The queue percentiles have their median scores at a level of 50 by construction. Their rankings tell us where this month's index sits in an ordered queue of data. For example, the EU index is lower about 54% of the time and higher about 46% of the time. Its reading is a decidedly neutral reading; the same is true of the EMU. The strongest EU sector on this relative scale is retailing at a 73rd percentile standing followed by consumer confidence at a 66th percentile standing and by services at a 61st percentile standing. The industrial standing is barely above its median with a 51st percentile standing; construction has a 54th percentile standing. The EU sector mantra in August is mediocrity.
Sector raw scores
Let me be clear about why I prefer the queue standings to evaluate these data. The raw diffusion scores show you what the sectors are doing in absolute terms. The raw score ordering is (1) services, (2) retailing, (3) industrial, (4) consumer confidence and (5) construction. This is different from the ranking based on queue values (retailing, consumer confidence, services, construction, and industrial). I prefer the queue rankings because they normalize each sector for its usual performance -and sector wide norms are extravagantly different. What we see in evaluating sectors (or countries) by queue standings is how each measure is doing relative to its own historic norm. That permits us to compare across sectors as well...which index is doing relatively better than it usually does? For example, consumer confidence has negative raw-score readings 97% of the time. Construction is negative 90% of the time. But the services sector is only negative 15 % of the time. Clearly, there is something idiosyncratic about each sector's evaluation that makes each sector not directly comparable to other sectors. This means that the relative scores of queue standings give us a better gauge for comparisons and useful context in a simple scalar value. Services, construction and industrial sectors are the most volatile by standard deviation measures with services and construction the most volatile by a good measure. Also services takes on values ranging over 63 integer values, compared to a range of 49 for construction, 45 for the industrial sector, 35 for retailing, and 34 for consumer confidence.
Country rankings
If we rank all of the countries in their respective historic queues then take the standard deviation of these rankings and average the result over one year, we find that the current smoothed rankings have some the lowest dispersions we have since late 1990 (lower only in 2007 and 1995). This means that most EMU countries are in the same phase of their respective business cycles and usually that is bad news. Cycles tend to be the most synchronized at the bottom of a cycle.
The EMU has a 56th percentile ranking with Germany, among the Big Four economies, with the highest percentile ranking at its 63rd percentile. There are not many countries with extremely low rankings. The unweighted country average ranking is in the 57th percentile, not too far for the EMU (weighted) gauge at 56%.
EMU sectors
In the EMU, the services sector has a 74th percentile standing with Germany at an 83rd percentile standing and having the strongest relative services reading among the Big Four EMU economies. France at the 53rd percentile has the weakest service sector score. Retailing in the EMU has an 84th percentile standing, much better than the standing for all of the EU. Spain has the highest percentile standing at a 93rd percentile with France at the lowest in its 57th percentile. Consumer confidence has an EMU-wide standing in its 74th percentile (also better than in the EU) with Spain having the strongest reading among the Big Four economics and Italy at a 68th percentile having the lowest. The consumer confidence rankings are more tightly clustered and at uniformly higher levels than for most other sectors. The industrial sector has a 58th percentile standing in the EMU, also a little better than for the EU, with Germany having the top standing among the Big Four economies (although at a very modest level) at its 57th percentile; both France and Italy show standings in their respective 45th percentiles below their median values. Spain at 51 is just a tick above its median value. The industrial sector is hurting in the EMU as well as globally and the weak euro has not helped it all that much. For the EMU, construction is at its 53rd percentile standing. Among the Big Four, Germany's 99th percentile reading is clearly the relative strongest with Spain's 15th percentile standing the lowest. France is at its 36th percentile, well below its median. Clearly, Spain's construction sector bust is very slow in recovering.
Summing up
There is a lot of weakness in the EU area in August. Both the EU and EMU are showing withering readings and losing momentum on a broad-based front. Indications of a more synchronized cycle raise a warning flag of sorts, but the individual country measures are still clustering above their respective medians. There is no disaster, but there is fellowship in mediocrity and slippage. That is worrisome enough, especially with ECB policy showing no signs of generating traction.
Robert Brusca
AuthorMore in Author Profile »Robert A. Brusca is Chief Economist of Fact and Opinion Economics, a consulting firm he founded in Manhattan. He has been an economist on Wall Street for over 25 years. He has visited central banking and large institutional clients in over 30 countries in his career as an economist. Mr. Brusca was a Divisional Research Chief at the Federal Reserve Bank of NY (Chief of the International Financial markets Division), a Fed Watcher at Irving Trust and Chief Economist at Nikko Securities International. He is widely quoted and appears in various media. Mr. Brusca holds an MA and Ph.D. in economics from Michigan State University and a BA in Economics from the University of Michigan. His research pursues his strong interests in non aligned policy economics as well as international economics. FAO Economics’ research targets investors to assist them in making better investment decisions in stocks, bonds and in a variety of international assets. The company does not manage money and has no conflicts in giving economic advice.